== Work order ==
Transcribe everything further below unchanged.

== Data ==
********
1.
The following is a quantum chemistry calculation of C16H29NO5Pb as an isolated structure, from OMol25.

The geometry in XYZ format:
```
52
Properties=species:S:1:pos:R:3:lowdin_charge:R:1
C -3.6158 1.8899 1.0912 0.020
C -4.3979 1.0584 0.4117 -0.044
C -4.2116 0.7273 -1.0242 -0.463
O -4.7959 1.1380 -1.9703 0.174
O -3.2007 -0.2031 -1.1592 -0.040
C -3.1480 -0.8432 -2.4350 -0.149
C -2.5292 -2.2358 -2.2473 -0.158
C -1.2338 -2.4222 -3.0406 -0.203
C -0.0005 -1.6982 -2.4412 -0.269
C -0.1396 -1.2490 -0.9901 -0.283
C 1.1772 -0.6929 -0.4724 -0.105
C 1.0904 -0.1929 0.9922 -0.369
C 2.1172 -0.9496 1.9016 -0.142
N 2.8390 -0.0939 2.8248 -0.085
C 2.9084 -0.6329 4.1946 -0.087
C 1.3689 1.3096 0.9977 -0.171
O 2.6349 1.4338 0.3979 -0.157
C 3.0421 2.7949 0.1923 -0.224
C 2.8688 3.2352 -1.2524 -0.060
O -0.2250 -0.5462 1.4807 -0.043
C -1.0295 0.4357 2.0361 -0.322
O -1.2244 0.5010 3.1877 0.182
H -3.4690 1.7418 2.1565 0.075
H -3.1728 2.7836 0.6582 0.095
H -5.2451 0.5868 0.9057 0.132
H -2.5358 -0.2496 -3.1268 0.143
H -4.1311 -0.9077 -2.9005 0.141
H -3.2369 -2.9814 -2.6201 0.133
H -2.4200 -2.4552 -1.1800 0.113
H -1.3613 -2.0896 -4.0723 0.142
H -1.0444 -3.5228 -3.1112 0.085
H 0.8686 -2.4245 -2.3596 -0.035
H 0.3935 -0.9320 -3.1099 0.164
H -0.4838 -2.1177 -0.3482 0.041
H -0.9419 -0.5052 -0.9338 0.146
H 1.4921 0.1141 -1.1383 0.143
H 1.9581 -1.4860 -0.5511 0.097
H 1.5283 -1.6584 2.4939 0.128
H 2.8183 -1.5257 1.2771 0.118
H 3.7951 -0.0319 2.4958 0.117
H 2.0036 -0.3656 4.7430 0.088
H 3.7729 -0.2040 4.7004 0.090
H 3.0355 -1.7235 4.2112 0.081
H 1.3942 1.6906 2.0246 0.145
H 0.6205 1.8646 0.4081 0.146
H 2.4475 3.4487 0.8405 0.124
H 4.0736 2.9118 0.5294 0.129
H 3.7228 2.9609 -1.8739 0.079
H 2.7592 4.3210 -1.2932 0.086
H 1.9625 2.8069 -1.6924 0.069
H -1.5181 1.0880 1.2960 0.114
Pb 0.6192 -3.9020 -1.1048 1.866
```

Computed properties:
LUMO energy = -10.65 eV
ΔE to the lowest compared entry with this formula, charge and spin = 0.000 eV
Spin multiplicity = 1
Electronic energy = -34015.05156 eV
Net charge = +2
HOMO-LUMO gap = 3.5 eV



2.
The following is a quantum chemistry calculation of C16H30AsCoN2O5 as an isolated structure, from OMol25.

The geometry in XYZ format:
```
55
Properties=species:S:1:pos:R:3:mulliken_spin:R:1
Co -0.2319 0.7215 -1.1134 1.005
C -1.3820 1.2144 -4.0076 -0.001
O -0.2134 0.8610 -3.2468 0.008
C 0.9847 1.4228 -3.7572 -0.001
C 2.0793 0.8062 -2.9150 0.001
O 1.7698 1.0066 -1.5227 -0.019
C 2.3149 2.2236 -0.9504 0.005
C 1.2725 3.3257 -0.9213 -0.005
O 0.1673 2.7740 -0.2377 0.022
C -0.8925 3.7050 0.0111 -0.001
H -1.2270 0.9201 -5.0465 0.000
H -1.5690 2.2867 -3.9385 0.000
H -2.2246 0.6798 -3.5864 0.000
H 0.9588 2.5130 -3.6725 0.000
H 1.1074 1.1625 -4.8122 0.001
H 3.0601 1.2239 -3.1396 -0.001
H 2.1141 -0.2730 -3.0605 -0.001
H 3.2038 2.5122 -1.5095 0.000
H 2.6066 1.9680 0.0656 0.000
H 0.9764 3.6432 -1.9266 -0.001
H 1.6709 4.1995 -0.3945 0.001
H -0.5060 4.5400 0.5982 0.001
H -1.6621 3.1663 0.5533 0.000
H -1.3147 4.0603 -0.9311 0.000
N -1.2792 -1.3527 -1.6244 0.040
N -2.6288 -1.0143 -1.4366 -0.005
C -3.0185 0.3210 -1.2345 0.007
O -4.1958 0.5975 -1.2783 -0.002
O -2.0457 1.1429 -0.9964 -0.030
H -1.0906 -1.6501 -2.5782 0.000
H -1.0578 -2.1315 -1.0130 -0.005
H -3.3454 -1.6305 -1.7888 0.001
C 1.3506 0.7345 2.3510 0.000
As 0.1487 -0.1476 1.1097 -0.017
C -1.4666 -0.2960 2.1595 -0.003
C 0.9836 -1.9350 1.0742 0.002
C 0.6206 -2.7971 2.2448 -0.002
C -0.6180 -3.4336 2.2952 0.000
C -0.9669 -4.2212 3.3797 0.000
C -0.0788 -4.3796 4.4361 0.000
C 1.1562 -3.7528 4.3952 0.000
C 1.5048 -2.9689 3.3037 0.000
H 1.3899 0.1640 3.2800 -0.001
H 0.9909 1.7409 2.5589 0.000
H 2.3535 0.7841 1.9302 0.000
H -1.3172 -0.9256 3.0347 -0.001
H -2.2727 -0.6923 1.5440 0.000
H -1.7330 0.7144 2.4698 0.000
H 2.0548 -1.7193 1.0738 0.001
H 0.7670 -2.4186 0.1216 -0.001
H -1.3231 -3.3160 1.4777 0.000
H -1.9301 -4.7125 3.4024 0.000
H -0.3487 -4.9945 5.2834 0.000
H 1.8544 -3.8799 5.2114 0.000
H 2.4786 -2.4934 3.2750 0.000
```

Computed properties:
LUMO energy (alpha / beta) = -2.89 / -2.27 eV
********

== Outcome ==
1.
The following is a quantum chemistry calculation of C16H29NO5Pb as an isolated structure, from OMol25.

The geometry in XYZ format:
```
52
Properties=species:S:1:pos:R:3:lowdin_charge:R:1
C -3.6158 1.8899 1.0912 0.020
C -4.3979 1.0584 0.4117 -0.044
C -4.2116 0.7273 -1.0242 -0.463
O -4.7959 1.1380 -1.9703 0.174
O -3.2007 -0.2031 -1.1592 -0.040
C -3.1480 -0.8432 -2.4350 -0.149
C -2.5292 -2.2358 -2.2473 -0.158
C -1.2338 -2.4222 -3.0406 -0.203
C -0.0005 -1.6982 -2.4412 -0.269
C -0.1396 -1.2490 -0.9901 -0.283
C 1.1772 -0.6929 -0.4724 -0.105
C 1.0904 -0.1929 0.9922 -0.369
C 2.1172 -0.9496 1.9016 -0.142
N 2.8390 -0.0939 2.8248 -0.085
C 2.9084 -0.6329 4.1946 -0.087
C 1.3689 1.3096 0.9977 -0.171
O 2.6349 1.4338 0.3979 -0.157
C 3.0421 2.7949 0.1923 -0.224
C 2.8688 3.2352 -1.2524 -0.060
O -0.2250 -0.5462 1.4807 -0.043
C -1.0295 0.4357 2.0361 -0.322
O -1.2244 0.5010 3.1877 0.182
H -3.4690 1.7418 2.1565 0.075
H -3.1728 2.7836 0.6582 0.095
H -5.2451 0.5868 0.9057 0.132
H -2.5358 -0.2496 -3.1268 0.143
H -4.1311 -0.9077 -2.9005 0.141
H -3.2369 -2.9814 -2.6201 0.133
H -2.4200 -2.4552 -1.1800 0.113
H -1.3613 -2.0896 -4.0723 0.142
H -1.0444 -3.5228 -3.1112 0.085
H 0.8686 -2.4245 -2.3596 -0.035
H 0.3935 -0.9320 -3.1099 0.164
H -0.4838 -2.1177 -0.3482 0.041
H -0.9419 -0.5052 -0.9338 0.146
H 1.4921 0.1141 -1.1383 0.143
H 1.9581 -1.4860 -0.5511 0.097
H 1.5283 -1.6584 2.4939 0.128
H 2.8183 -1.5257 1.2771 0.118
H 3.7951 -0.0319 2.4958 0.117
H 2.0036 -0.3656 4.7430 0.088
H 3.7729 -0.2040 4.7004 0.090
H 3.0355 -1.7235 4.2112 0.081
H 1.3942 1.6906 2.0246 0.145
H 0.6205 1.8646 0.4081 0.146
H 2.4475 3.4487 0.8405 0.124
H 4.0736 2.9118 0.5294 0.129
H 3.7228 2.9609 -1.8739 0.079
H 2.7592 4.3210 -1.2932 0.086
H 1.9625 2.8069 -1.6924 0.069
H -1.5181 1.0880 1.2960 0.114
Pb 0.6192 -3.9020 -1.1048 1.866
```

Computed properties:
LUMO energy = -10.65 eV
ΔE to the lowest compared entry with this formula, charge and spin = 0.000 eV
Spin multiplicity = 1
Electronic energy = -34015.05156 eV
Net charge = +2
HOMO-LUMO gap = 3.5 eV



2.
The following is a quantum chemistry calculation of C16H30AsCoN2O5 as an isolated structure, from OMol25.

The geometry in XYZ format:
```
55
Properties=species:S:1:pos:R:3:mulliken_spin:R:1
Co -0.2319 0.7215 -1.1134 1.005
C -1.3820 1.2144 -4.0076 -0.001
O -0.2134 0.8610 -3.2468 0.008
C 0.9847 1.4228 -3.7572 -0.001
C 2.0793 0.8062 -2.9150 0.001
O 1.7698 1.0066 -1.5227 -0.019
C 2.3149 2.2236 -0.9504 0.005
C 1.2725 3.3257 -0.9213 -0.005
O 0.1673 2.7740 -0.2377 0.022
C -0.8925 3.7050 0.0111 -0.001
H -1.2270 0.9201 -5.0465 0.000
H -1.5690 2.2867 -3.9385 0.000
H -2.2246 0.6798 -3.5864 0.000
H 0.9588 2.5130 -3.6725 0.000
H 1.1074 1.1625 -4.8122 0.001
H 3.0601 1.2239 -3.1396 -0.001
H 2.1141 -0.2730 -3.0605 -0.001
H 3.2038 2.5122 -1.5095 0.000
H 2.6066 1.9680 0.0656 0.000
H 0.9764 3.6432 -1.9266 -0.001
H 1.6709 4.1995 -0.3945 0.001
H -0.5060 4.5400 0.5982 0.001
H -1.6621 3.1663 0.5533 0.000
H -1.3147 4.0603 -0.9311 0.000
N -1.2792 -1.3527 -1.6244 0.040
N -2.6288 -1.0143 -1.4366 -0.005
C -3.0185 0.3210 -1.2345 0.007
O -4.1958 0.5975 -1.2783 -0.002
O -2.0457 1.1429 -0.9964 -0.030
H -1.0906 -1.6501 -2.5782 0.000
H -1.0578 -2.1315 -1.0130 -0.005
H -3.3454 -1.6305 -1.7888 0.001
C 1.3506 0.7345 2.3510 0.000
As 0.1487 -0.1476 1.1097 -0.017
C -1.4666 -0.2960 2.1595 -0.003
C 0.9836 -1.9350 1.0742 0.002
C 0.6206 -2.7971 2.2448 -0.002
C -0.6180 -3.4336 2.2952 0.000
C -0.9669 -4.2212 3.3797 0.000
C -0.0788 -4.3796 4.4361 0.000
C 1.1562 -3.7528 4.3952 0.000
C 1.5048 -2.9689 3.3037 0.000
H 1.3899 0.1640 3.2800 -0.001
H 0.9909 1.7409 2.5589 0.000
H 2.3535 0.7841 1.9302 0.000
H -1.3172 -0.9256 3.0347 -0.001
H -2.2727 -0.6923 1.5440 0.000
H -1.7330 0.7144 2.4698 0.000
H 2.0548 -1.7193 1.0738 0.001
H 0.7670 -2.4186 0.1216 -0.001
H -1.3231 -3.3160 1.4777 0.000
H -1.9301 -4.7125 3.4024 0.000
H -0.3487 -4.9945 5.2834 0.000
H 1.8544 -3.8799 5.2114 0.000
H 2.4786 -2.4934 3.2750 0.000
```

Computed properties:
LUMO energy (alpha / beta) = -2.89 / -2.27 eV